Some interesting facts about Umrah! (Part-3)
This is the third part of the interesting facts about Umrah. After the basic things in the first part, the second part was dedicated to letting you know about the state of Ihram, the Miqat, and the five different types Miqat’s.
We have promised you that we will take the series forward and let you in on some more facts about Umrah. Facts that are going to not only increase your knowledge but help you a great deal, once you embark on the blessed journey.
So, it is the Miqat where the pilgrims enter the state of Ihram. But there are certain things about the clothing of Ihram that need to be kept into consideration by men and women.
Men while wearing Ihram, should cover their chest and legs only till their knees. Men are forbidden to cover their ankles and their head while they are in the state of Ihram. On the other hand, women are required to cover their entire body, barring their hands and their face while they are in the state of Ihram.
And before we continue with the next steps in Umrah, it is important to tell you about the two types of Umrah. One is Umrah-al-Tamattu, which is performed during the months of Hajj and then there is Umrah-al-Mufradah, performed at any time of the year apart from the months of Hajj.
This also reminds us of the Niyyah. It is important that you decide upon the Niyyah before you enter the state of Ihram because after you are in the state of Ihram you cannot change the Niyyah for your Umrah. This is a common mistake committed by some pilgrims and can be avoided.
But then mistakes do happen, for we are humans and cannot avoid mistakes from happening. Allah has been kind and he has devised a system of Fidyah for mistakes committed during Umrah.
There are majorly three types of Fidyah (or penalties) for Umrah mistakes – and these penalties depend upon the severity of mistakes committed. The penalties are named Badanah, Damm, and Sadaqah. We will describe these penalties in detail in a subsequent blog that will be entirely dedicated to this aspect of the Umrah.
**Here the text breaks off for records of crystals:**
# ScBeAu2
Theoretical powder XRD pattern, λ = 1.5418 Å (Cu Kα). Input: a structure optimized by DFT (PBE).
No peak broadening, texture or thermal motion is included.

Cell and atoms:
```
data_ScBeAu2
_space_group_name_H-M_alt 'F -4 3 m'
_space_group_IT_number 216
_space_group_name_Hall 'F -4 2 3'
_cell_length_a 6.432
_cell_length_b 6.432
_cell_length_c 6.432
_cell_angle_alpha 90.00
_cell_angle_beta 90.00
_cell_angle_gamma 90.00
loop_
_atom_site_label
_atom_site_fract_x
_atom_site_fract_y
_atom_site_fract_z
Sc1 0.000 0.000 0.000
Be1 0.250 0.250 0.750
Au1 0.000 0.000 0.500
Au2 0.250 0.250 0.250
```

Largest 8 diffraction maxima, by intensity, 2θ from 10° to 90°:
2θ (°)  d/Å  I_rel
39.6  2.274  100
24.0  3.714  72
46.8  1.939  38
71.9  1.313  35
57.3  1.608  17
63.0  1.476  16
77.0  1.238  12
85.4  1.137  11

~~~~~

1.
The following is a simulated powder XRD pattern of Th2NbGa. It was derived from a crystal structure in Alexandria, relaxed with PBE, using a wavelength of 1.5418 Å.
Lines closer than 0.1° are merged.

Largest 12 diffraction maxima, sorted by position, 10 to 80 degrees two-theta:
16.0 deg, I = 72; 31.6 deg, I = 100; 31.9 deg, I = 82; 32.3 deg, I = 66; 34.3 deg, I = 78; 36.9 deg, I = 38; 41.8 deg, I = 74; 43.7 deg, I = 55; 56.0 deg, I = 47; 57.2 deg, I = 22; 66.2 deg, I = 51; 70.6 deg, I = 22

Structure:
Lattice parameters (Å, degrees): 11.240 11.240 11.240 16.79 16.79 16.79
Sites, in units of the cell vectors:
Th  0.089  0.089  0.089
Th  0.911  0.911  0.911
Nb  0.000  0.000  0.000
Ga  0.500  0.500  0.500

=====

2.
The following is a simulated powder XRD pattern of Na2SrHg8. It was derived from a crystal structure in Alexandria, relaxed with PBE, using a wavelength of 1.5418 Å.
Lines closer than 0.1° are merged.

Largest 12 diffraction maxima, sorted by position, 10 to 80 degrees two-theta:
21.1 deg, I = 61; 22.9 deg, I = 24; 31.2 deg, I = 57; 31.8 deg, I = 37; 32.2 deg, I = 24; 32.9 deg, I = 35; 34.1 deg, I = 33; 34.9 deg, I = 100; 36.4 deg, I = 53; 39.2 deg, I = 25; 42.0 deg, I = 32; 44.3 deg, I = 25

Structure:
Lattice parameters (Å, degrees): 9.185 9.185 5.564 106.34 106.34 125.70
Sites, in units of the cell vectors:
Na  0.182  0.818  0.000
Na  0.818  0.182  0.000
Sr  0.500  0.500  0.500
Hg  0.052  0.052  0.801
Hg  0.133  0.410  0.753
Hg  0.293  0.707  0.500
Hg  0.410  0.133  0.753
Hg  0.590  0.867  0.247
Hg  0.707  0.293  0.500
Hg  0.867  0.590  0.247
Hg  0.948  0.948  0.199

=====

3.
The following is a simulated powder XRD pattern of Bi3Rh4S. It was derived from a crystal structure in Alexandria, relaxed with PBE, using a wavelength of 1.5418 Å.
Lines closer than 0.1° are merged.

Largest 12 diffraction maxima, sorted by position, 10 to 80 degrees two-theta:
24.7 deg, I = 48; 28.9 deg, I = 52; 29.5 deg, I = 93; 32.1 deg, I = 35; 32.5 deg, I = 52; 36.1 deg, I = 35; 36.3 deg, I = 90; 39.9 deg, I = 41; 40.9 deg, I = 100; 42.6 deg, I = 70; 43.8 deg, I = 55; 55.3 deg, I = 36

Structure:
Here, we come to the end of this third part. We feel that a fourth part will be required for stating some more interesting facts about Umrah. We will be coming up with the fourth and last part of this series soon.
In case you have any questions, please feel free to contact us by phone or any of our social media handles. We at M G Tours and Travels believe it is our responsibility to educate people regarding this blessed journey, whether they make this journey with us or not. We will love to hear from you.